Once you get a positive ovulation test, you probably know what to do next — start “trying!” But you may still be wondering what the actual chances are of getting pregnant after a positive ovulation test. Keep reading to find out!
What are ovulation tests and why should I use them?
Ovulation tests (also known as ovulation predictor kits or OPKs) are at-home urine-based hormone tests that you can use to monitor your cycle. They detect the level of LH (luteinizing hormone) in your urine in order to predict when ovulation is going to occur.
During the follicular phase — or first half of your cycle — growing follicles mature and start producing estrogen. When your estrogen reaches a certain level, it sends a signal to your pituitary gland indicating the follicles are mature and your body is ready to ovulate.
The pituitary gland then releases a surge of LH that triggers the follicle to release the egg, causing ovulation to occur.
If you are trying to conceive, you’ll want to use ovulation tests to predict when ovulation will occur and time intercourse correctly. After all, an egg is only viable for 12-24 hours after it’s released, and you have a small timeframe in which sperm can fertilize it. This is referred to as your fertile window and it is the only time in each cycle when conception is possible.
Luckily, sperm can live in a woman’s reproductive tract for up to 5 days, meaning having intercourse before ovulation can ensure sperm is waiting for the egg once it’s released. Using ovulation tests helps you time intercourse before ovulation to increase your chances at conception.
Cons of ovulation tests include:
- They are not always reliable for women with PCOS who have high LH levels throughout their cycle.
- They are less reliable for women with irregular cycles who may have several surges during the cycle.
- They are slightly more expensive than cervical mucus monitoring.
The pros, on the other hand, include:
- They are easy to use.
- They are non-invasive, meaning they can be used several days in a row, even twice a day.
- They actually show hormonal changes in your body, versus ovulation calculators which only estimate based on previous data.

When should I use ovulation tests?
If you know your cycles are regular and you ovulate more or less around the same cycle day every cycle, you can start using ovulation tests roughly 5-6 days before your next suspected ovulation date. If your cycles aren’t regular or if it is your first month testing, you may want to start as soon as your period ends.
Beginning testing earlier in your cycle ensures you won’t miss the LH surge because, regardless of what fertility myths tell us, we do not always ovulate on cycle day 14. In fact, a woman’s cycle can last anywhere from 21 to 35 days and still be considered “normal.” Your ovulation date will vary depending on the length of your cycle.
Some women may ovulate as early as cycle day 8, others as late as cycle day 20, hence the importance of tracking and detecting the fertile window, in order to increase your chances of conception!
LH levels usually surge in blood between midnight and 8 am, meaning they may not be visible in the first morning urine. Therefore you may be better off testing your second morning urine after at least a 2-3 hours hold. You can test with Proov LH tests around noon or in the afternoon, depending on your preference.
If by any chance you don’t manage to catch the surge, don’t worry! Some women have short surges that may last only several hours. In that case, you could test twice a day, noon and early evening, to make sure you don't miss it.
+++
A plane-wave DFT calculation with PBE-GGA was carried out for a geometry-optimized K2SiHgMo structure.

Properties
The density of states at the Fermi level is 0.87 states/eV per atom. Its volume is 204 Å³ per cell. The value obtained for the mass density is 3272 kg/m³. The crystal system is tetragonal. The raw total energy is -3.095 eV/atom.

abc: 6.5198 4.8087 6.5198
angles: 90.00 90.00 90.00
With the nearest neighbours (Å) after each atom.
Fractional positions:
Mo (0.0000, 0.5000, 0.0000)  2 Si 2.40
Hg (0.5000, 0.5000, 0.5000)  8 K 4.05
K (0.0000, 0.0000, 0.5000)  2 Si 3.26
K (0.5000, 0.0000, 0.0000)  2 Si 3.26
Si (0.0000, 0.0000, 0.0000)  2 Mo 2.40

=====

Record 1
A plane-wave DFT calculation with PBE was carried out for crystalline Y2HfGa2Rh5 at its relaxed geometry.

a = 9.9670 Å, b = 9.9670 Å, c = 3.5300 Å
α = 90.00°, β = 90.00°, γ = 90.00°
Last column: nearest neighbours and their distance in Å.
Space group P4/mbm (No. 127)
Unique sites:
Y 0.1727 0.3273 0.0000 x4  3 Ga 2.85-3.00, 6 Rh 3.01-3.15
Hf 0.0000 0.0000 0.0000 x2  8 Rh 2.78
Ga 0.1249 0.6249 0.0000 x4  6 Rh 2.49-2.51
Rh 0.0000 0.5000 0.5000 x2  4 Ga 2.49
Rh 0.0671 0.7946 0.5000 x8  2 Ga 2.51, 2 Hf 2.78

Computed properties:
- spin magnetization (μB/f.u.) = 0.0
- crystal system = tetragonal
- calculated total energy (eV/atom) = -7.4422
- ΔH_f (0 K) (meV per atom) = -873

=====

Record 2
A plane-wave DFT calculation with PBE was carried out for crystalline Hf3GaRu at its relaxed geometry.
+++
**The records of crystals stop here:**
Depending on the type of ovulation test you are using, ovulation tests are usually considered positive when there are two identical lines or a solid smiley face. Proov Predict tests are considered positive when the test line is as dark or darker than the control line.

Depending on the type of ovulation test you are using, ovulation tests are usually considered positive when there are two identical lines or a smiley face.
What does a positive ovulation test mean?
A positive ovulation test means your LH levels are surging, and you should expect your ovulation to happen anytime between the next 12 and 36 hours. This signals the opening of your fertile window — when intercourse is most likely to result in conception.
This means it’s the time to “try!” While many people believe you should be having intercourse every day during your fertile window, we know you may not always be in the mood. That’s okay though; studies show that there isn’t a much better chance of pregnancy when having intercourse every day versus every other day during your fertile window.
What are my chances of getting pregnant after a positive ovulation test?
After getting a positive ovulation test and timing intercourse, you may be wondering what your chances are of conception. Great question!
Studies show that your chances of getting pregnant are the highest when you have intercourse starting 5 days before ovulation and the day of ovulation. This means your best shot at getting pregnant actually happens when you start having sex a few days before a positive ovulation test!
Here are some day-specific pregnancy probabilities based on the day you have intercourse:
- 3 days before ovulation: 27%
- 2 days before ovulation: 33%
- 1 day before ovulation: 41%
- Day of ovulation: 20%
- 1 day post ovulation: 8%
As you can see, your chances of pregnancy increase as you near ovulation, then significantly decrease the day of ovulation and after. This is why regularly tracking your cycle to predict your fertile window is so important!

The chances of pregnancy increase as you near ovulation, then significantly decrease the day of ovulation and after.
After I get a positive ovulation test and have intercourse, what’s next?
Ovulation tests are great tools for predicting ovulation, but they actually tell you nothing about whether or not you’ve ovulated! Confirming that ovulation happened and that it was successful gives you the best possible chance at conception.
Here are some methods to confirm ovulation:
- Basal body temperature (BBT) tracking: Before and after ovulation, BBT (your body’s lowest resting temperature) dips, then rises again. Tracking this shift can let you know if an egg was released.
Serum progesterone blood tests: Progesterone is the hormone released after ovulation occurs. Blood tests detect serum progesterone levels to confirm that ovulation has occurred. Note that serum progesterone levels have been shown to fluctuate throughout the day, meaning multiple draws may show a more accurate picture.
- Ultrasound: Ultrasounds are the standard reference for confirming ovulation, by detecting corpus luteum formation and changes in the endometrial lining.
However, none of these methods can confirm that ovulation was successful. Successful chances of pregnancy after ovulation refers to a successful ovulatory event in which an egg was released and PdG (progesterone metabolite) levels remained elevated for long enough to allow for the best possible chance at conception. Without enough PdG for long enough after ovulation it can be more difficult to get pregnant.
Proov PdG tests are the first and only FDA cleared PdG test kit to confirm successful ovulation at home. Testing with Proov PdG tests on days 7, 8, 9, and 10 after peak fertility (i.e. a positive LH test) can give you insight into if poor ovulation health is preventing you from conceiving.
Understanding your chances of getting pregnant after a positive ovulation test can help you better time intercourse so that you can reach your fertility goals faster!
Co-authored by: Oana Gharbi. Oana is an Infertility Patient Advocate and a certified Health and Wellness Coach. She has been empowering women for years, educating and encouraging them to advocate for themselves, make informed decisions and leave no stone unturned so that they optimize their chances of getting pregnant.